Tuesday, February 19, 2013

G Mobile

Rep. Jackson Lee warns against more spending cuts:

Rep. Sheila Jackson Lee (D-Texas) urged her colleagues to reach a compromise to prevent spending cuts through sequestration, arguing that government programs are already as lean as they can be.

"We're at the bone almost, and sequester, that is across-the-board cuts, will literally destroy us and put us in a recession," she said on the House floor Wednesday.

You remember the “Obamaphone” clip that garnered attention during last fall’s campaign?

It turns out that while the details are a bit different from what the enthusiastic Obama supporter described, there is indeed a government program to subsidize mobile phones for poor Americans. And the budget for that program has grown significantly under President Obama. And-prepare to be stunned-that program involves significant waste and fraud.

Abuse Concerns Grow on Phone Aid for Poor (WSJ):

Regulators looking into the burgeoning federal program to provide subsidized phone service for the poor are finding growing cause for concern.

Last year, the government spent an estimated $2.2 billion on the Lifeline program, up from $819 million four years earlier, as dozens of small companies were authorized to start providing the service.
Now, inquiries in states from Alaska to Florida are raising questions about the source of that growth, according to a review of documents in federal and state investigations.

## What comes next are calculated crystals, not part of the piece
-- begin --
1.
VASP calculation (PBE) on an optimized crystal structure of Dy.

```
data_Dy
_chemical_formula_sum 'Dy4'
_cell_length_a 5.0117
_cell_length_b 5.0117
_cell_length_c 5.0117
_cell_angle_alpha 90.00
_cell_angle_beta 90.00
_cell_angle_gamma 90.00
_space_group_name_H-M_alt 'F m -3 m'
_space_group_IT_number 225
_space_group_name_Hall '-F 4 2 3'
loop_
_atom_site_label
_atom_site_type_symbol
_atom_site_fract_x
_atom_site_fract_y
_atom_site_fract_z
Dy1 Dy 0.0000 0.0000 0.0000
```

Properties
E_form, meV/atom: 21
Electronic total energy, eV for the cell shown: -18.34

2.
VASP calculation (PBE) on an optimized crystal structure of CsTbNb6Br18.

```
data_CsTbNb6Br18
_chemical_formula_sum 'Cs2 Tb2 Nb12 Br36'
_cell_length_a 9.9795
_cell_length_b 9.9795
_cell_length_c 18.6272
_cell_angle_alpha 90.00
_cell_angle_beta 90.00
_cell_angle_gamma 120.00
_space_group_name_H-M_alt 'P -3 1 c'
_space_group_IT_number 163
_space_group_name_Hall '-P 3 2c'
loop_
_atom_site_label
_atom_site_type_symbol
_atom_site_fract_x
_atom_site_fract_y
_atom_site_fract_z
Cs1 Cs 0.3333 0.6667 0.2500
Tb1 Tb 0.3333 0.6667 0.7500
Nb1 Nb 0.0382 0.1876 0.9352
Br1 Br 0.0462 0.2309 0.1590
Br2 Br 0.0851 0.4480 0.8386
Br3 Br 0.1388 0.4142 0.4992
```

Properties
E_form, meV/atom: -1517
Electronic total energy, eV for the cell shown: -250.87

3.
VASP calculation (PBE) on an optimized crystal structure of Zn3P2H7O12.

```
data_Zn3P2H7O12
_chemical_formula_sum 'Zn12 P8 H28 O48'
_cell_length_a 5.2297
_cell_length_b 10.6696
_cell_length_c 18.6512
_cell_angle_alpha 90.00
_cell_angle_beta 90.00
_cell_angle_gamma 90.00
_space_group_name_H-M_alt 'P 21 21 21'
_space_group_IT_number 19
_space_group_name_Hall 'P 2ac 2ab'
loop_
_atom_site_label
_atom_site_type_symbol
_atom_site_fract_x
_atom_site_fract_y
_atom_site_fract_z
Zn1 Zn 0.0376 0.1444 0.9997
Zn2 Zn 0.0448 0.1451 0.5013
Zn3 Zn 0.1703 0.2674 0.7509
P1 P 0.0187 0.3963 0.9057
P2 P 0.0284 0.3973 0.5940
H1 H 0.0314 0.5265 0.2525
H2 H 0.0473 0.5295 0.7501
H3 H 0.0625 0.7673 0.1387
H4 H 0.0665 0.7670 0.3618
H5 H 0.2069 0.8975 0.3567
H6 H 0.2083 0.8964 0.1432
H7 H 0.2374 0.3620 0.2503
O1 O 0.0172 0.8658 0.8269
O2 O 0.0275 0.6175 0.2476
O3 O 0.0363 0.8638 0.6726
O4 O 0.0801 0.6201 0.7500
O5 O 0.0916 0.0277 0.9216
O6 O 0.0978 0.0275 0.5785
O7 O 0.1017 0.8369 0.1714
O8 O 0.1037 0.8364 0.3287
O9 O 0.1185 0.8017 0.9576
O10 O 0.1224 0.8022 0.5407
O11 O 0.1840 0.6109 0.0771
O12 O 0.1910 0.6124 0.4206
```

Properties
E_form, meV/atom: -1758
Electronic total energy, eV for the cell shown: -526.75

> Which of these has the highest electronic total energy?

Dy

> Which formula does entry 3 have?

Zn3P2H7O12

Please write out number 3 again, unchanged.
VASP calculation (PBE) on an optimized crystal structure of Zn3P2H7O12.

```
data_Zn3P2H7O12
_chemical_formula_sum 'Zn12 P8 H28 O48'
_cell_length_a 5.2297
_cell_length_b 10.6696
_cell_length_c 18.6512
_cell_angle_alpha 90.00
_cell_angle_beta 90.00
_cell_angle_gamma 90.00
_space_group_name_H-M_alt 'P 21 21 21'
-- stop --

Investigators say they have turned up some unorthodox tactics by companies participating in the program, such as signing up customers in hospital rooms and enrolling subscribers by mailing them unsolicited phones. In other cases they have uncovered more straightforward attempts to sign up ineligible customers, according to federal and state documents.

While the inquiries have touched only a small number of the dozens of companies that provide the wireless service, they reflect regulators' growing concern that a program aimed at ensuring people have the ability to call their families, jobs or for emergency help has got out of hand as the number of companies providing the service has exploded.

"Waste and fraud in this vital program are simply unacceptable," said Federal Communications Commission spokeswoman Tammy Sun.

And yet they are apparently rampant. Imagine that. When you read the details of the story of how this government program with the best intentions has gone awry (sound familiar?), a couple of things stand out:

1. The lack of accountability is astounding. Until last year, the FCC allowed customers to “self certify” that they qualified for the program and required no documentation. They basically let companied sign customers up for the program, submit bills to the government for the service provided, and paid them with little oversight or concern for where the money was going. This is just one small program (a mere $2.2B a year) and it’s not an isolated case. It’s just an example what takes place in government programs when it’s all too easy to spend someone else’s money.

2. The notions that government programs are “as lean as they can be” or that “we’ve already cut to the bone” appear ludicrous when considered alongside stories like this. Whether you believe that providing phones to its citizens is truly a proper function of government or not, it’s hard to argue given the facts of the this story that the program would be “destroyed” if it was subject to a 3% budget cut (as part of sequestration) or even a 10% budget cut as part of an across the board effort to reduce the deficit. There’s still a lot of layers of fat left before we start getting close to the bone.